What is needed: search the lines below for the word "eV" and print each line that has it.

/*
[1]
# LuFe2 (meta-GGA r2SCAN, optimized geometry)
data_LuFe2
_cell_length_a 5.0938
_cell_length_b 5.0938
_cell_length_c 5.0938
_cell_angle_alpha 60.00
_cell_angle_beta 60.00
_cell_angle_gamma 60.00
_symmetry_space_group_name_H-M 'P 1'
_symmetry_Int_Tables_number 1
loop_
_symmetry_equiv_pos_as_xyz
'x,y,z'
loop_
_atom_site_label
_atom_site_type_symbol
_atom_site_fract_x
_atom_site_fract_y
_atom_site_fract_z
Fe1 Fe 0.5000 0.0000 0.5000
Fe2 Fe 0.0000 0.5000 0.5000
Fe3 Fe 0.5000 0.5000 0.5000
Fe4 Fe 0.5000 0.5000 0.0000
Lu1 Lu 0.1250 0.1250 0.1250
Lu2 Lu 0.8750 0.8750 0.8750
# V = 15.58 Å³/atom
# DFT formation energy = -72 meV/atom
# Total magnetization = 7.30 μB per cell
# Crystal system = cubic
# Raw total energy = -134.2 eV per cell

[2]
# LuFe2Si2 (meta-GGA r2SCAN, optimized geometry)
data_LuFe2Si2
_cell_length_a 3.8410
_cell_length_b 3.8410
_cell_length_c 5.5707
_cell_angle_alpha 110.17
_cell_angle_beta 110.17
_cell_angle_gamma 90.00
_symmetry_space_group_name_H-M 'P 1'
_symmetry_Int_Tables_number 1
loop_
_symmetry_equiv_pos_as_xyz
'x,y,z'
loop_
_atom_site_label
_atom_site_type_symbol
_atom_site_fract_x
_atom_site_fract_y
_atom_site_fract_z
Fe1 Fe 0.2500 0.7500 0.5000
Fe2 Fe 0.7500 0.2500 0.5000
Si1 Si 0.3738 0.3738 0.7477
Si2 Si 0.6262 0.6262 0.2523
Lu1 Lu 0.0000 0.0000 0.0000
# V = 14.35 Å³/atom
# DFT formation energy = -515 meV/atom
# Total magnetization = 1.98 μB per cell
# Crystal system = tetragonal
# Raw total energy = -87.0 eV per cell

[3]
# MgFeO3 (meta-GGA r2SCAN, optimized geometry)
data_MgFeO3
_cell_length_a 4.9539
_cell_length_b 5.1818
_cell_length_c 7.2574
_cell_angle_alpha 90.00
_cell_angle_beta 90.00
_cell_angle_gamma 90.00
_symmetry_space_group_name_H-M 'P 1'
_symmetry_Int_Tables_number 1
loop_
_symmetry_equiv_pos_as_xyz
'x,y,z'
loop_
_atom_site_label
_atom_site_type_symbol
_atom_site_fract_x
_atom_site_fract_y
_atom_site_fract_z
Fe1 Fe 0.0000 0.5000 0.0000
Fe2 Fe 0.5000 0.0000 0.5000
Fe3 Fe 0.0000 0.5000 0.5000
Fe4 Fe 0.5000 0.0000 0.0000
O1 O 0.6901 0.3063 0.4355
O2 O 0.1901 0.1937 0.9355
O3 O 0.1240 0.4512 0.2500
O4 O 0.6901 0.3063 0.0645
O5 O 0.3099 0.6937 0.9355
O6 O 0.8099 0.8063 0.4355
O7 O 0.3760 0.9512 0.2500
O8 O 0.8099 0.8063 0.0645
O9 O 0.3099 0.6937 0.5645
O10 O 0.6240 0.0488 0.7500
O11 O 0.1901 0.1937 0.5645
O12 O 0.8760 0.5488 0.7500
Mg1 Mg 0.0167 0.9328 0.7500
Mg2 Mg 0.5167 0.5672 0.2500
Mg3 Mg 0.9833 0.0672 0.2500
Mg4 Mg 0.4833 0.4328 0.7500
# V = 9.31 Å³/atom
# DFT formation energy = -2011 meV/atom
# Total magnetization = 15.76 μB per cell
# Crystal system = orthorhombic
# Raw total energy = -186.2 eV per cell

[4]
# MgFe2O3 (meta-GGA r2SCAN, optimized geometry)
data_MgFe2O3
_cell_length_a 2.9520
_cell_length_b 6.8901
_cell_length_c 6.0046
_cell_angle_alpha 107.80
_cell_angle_beta 89.99
_cell_angle_gamma 77.61
_symmetry_space_group_name_H-M 'P 1'
_symmetry_Int_Tables_number 1
loop_
_symmetry_equiv_pos_as_xyz
'x,y,z'
loop_
_atom_site_label
_atom_site_type_symbol
_atom_site_fract_x
_atom_site_fract_y
_atom_site_fract_z
O1 O 0.8371 0.3222 0.1139
O2 O 0.1629 0.6778 0.3861
O3 O 0.5000 0.9999 0.7500
O4 O 0.1598 0.6778 0.8862
O5 O 0.8402 0.3222 0.6138
O6 O 0.5000 0.9999 0.2500
Fe1 Fe 0.6764 0.6486 0.1239
Fe2 Fe 0.3236 0.3514 0.3761
Fe3 Fe 0.6748 0.6486 0.6239
Fe4 Fe 0.3251 0.3515 0.8761
Mg1 Mg 0.0001 0.0000 0.5000
Mg2 Mg 0.9999 0.0000 0.0000
# V = 9.44 Å³/atom
# DFT formation energy = -1856 meV/atom
# Total magnetization = 0.00 μB per cell
# Raw total energy = -124.1 eV per cell

[5]
# MgFe2O3 (meta-GGA r2SCAN, optimized geometry)
data_MgFe2O3
_cell_length_a 4.2108
_cell_length_b 6.7780
_cell_length_c 4.2142
_cell_angle_alpha 90.00
_cell_angle_beta 90.00
_cell_angle_gamma 71.91
_symmetry_space_group_name_H-M 'P 1'
_symmetry_Int_Tables_number 1
loop_
_symmetry_equiv_pos_as_xyz
'x,y,z'
loop_
_atom_site_label
_atom_site_type_symbol
_atom_site_fract_x
_atom_site_fract_y
_atom_site_fract_z
O1 O 0.1611 0.6777 0.0000
O2 O 0.0000 0.0000 0.5000
O3 O 0.5000 0.0000 0.0000
O4 O 0.6611 0.6777 0.5000
*/

# Raw total energy = -134.2 eV per cell
# Raw total energy = -87.0 eV per cell
# Raw total energy = -186.2 eV per cell
# Raw total energy = -124.1 eV per cell